Wandering Jew, also known as Zebrina pendula and a native of Mexico, is a fast-growing plant with dangling branches and purple and green leaves frequently striped with silver. Wandering Jew thrives outside U.S. Department of Agriculture plant tolerance zones 9 through 11. It is a warm-climate plant that is typically grown indoors.
The wandering jew can be propagated in either soil or water. To propagate it in soil, you will have to make a cutting and plant them in a hole inside a soil-filled pot and water them. The cuttings will be inside a jar of water, and the bottom leaf node will have to be submerged.
The wandering jew is very simple to spread. It can be grown in a pot like a bonsai or, for a more rustic appearance, you can allow it to grow naturally enough to fit in a dangling container and let its branches hang from your window.
How To Propagate Wandering Jew In Soil
Plants of the Wandering Jew can be multiplied successfully and easily; they can adapt and live even if you give them little care. A Wandering Jew plant may grow in any climate; thus, there is no ideal season to propagate them. So do not bother awaiting a specific period if you want to grow your Wandering Jew.
Although they will grow more quickly in the spring and summer than in the winter, this does not preclude their propagation in the latter season. Jews on the move are not dormant in the winter. Propagating requires a little more work to grow wandering Jew plants in soil than in water.
You do not have to be concerned about your efforts being in vain because both techniques have a success rate. Proper cutting preparation is essential for proliferation. For clean cuts, use pruning shears or a sharp blade that has been sanitized; to aid in the cuttings taking root more quickly, if at all feasible, cut at a 45-degree angle.
A leaf node must be below the cut line; for the propagated plant, roots will emerge from these leaf nodes. Make a snip below the most recent leaf if there are no leaf nodes; your cuttings must be between four and six inches long. The cuttings should air dry so they can develop calluses.
When the cuttings are planted, this prevents them from decaying; fill a pot with a draining hole at least 6 inches in height with a quality potting mix. Leave a gap of 1 inch at the pot’s top. Wandering Jews look excellent in hanging displays, but you might also use a dangling basket.
Plant your cuttings in 2-inch-deep holes you have dug in the ground; ensure they have adequate room to grow and are distributed equally. To make the cuttings more sturdy, compact the soil around them. Keep the pot in a well-lit place at all times.
The pots should be kept in a shaded area with lots of indirect sunshine because excessively direct light will kill the cuttings. Water the pot uniformly to ensure that all cuttings get enough water.
Alternatively, you might cover the pot with a clear plastic bag. You would only need to water crops once every few weeks to keep the moisture. In a month, you will start to notice fresh growth.
How To Root Wandering Jew
If you decide to plant your stem in the soil to root it, you will want to begin with the correct soil type to give it the highest chance of succeeding. Make sure to use soil that drains effectively. To prevent your stem from rotting before it has an opportunity to develop roots, you should avoid using too heavy soil.
Make sure the soil is quite wet after selecting the appropriate type. To accomplish this, put your soil in a sizable container and immerse it in water for a short while, breaking up any soil clumps. Take a handful of the soil when it has been completely moistened, and press out as much moisture as possible.
Put that soil in the pot you will be using, breaking it up once more as you do so. After adding a top-notch propagation promoter, plant your stem directly in the ground. Even though it is not often necessary, a propagation promoter will help your new plant resist bacteria and have faster-growing roots.
The Wandering Jew needs to be rooted in water differently; for maximum results, fill your container with non-chlorinated, room-temperature water. Place the plant cutting inside the water after mixing your propagation promoter. Within a week, you will start to notice fresh root growth.
Your stem will have developed a strong set of roots after two weeks, and if you decide to propagate in water, it should be moved to well-draining potting soil to continue growing. After about a month, you will notice fresh growth above the dirt. Remember that the position of your plant in your house can affect the rate of germination and the timing of new growth.
The location of your new plant should be in a well-lit place that is out of direct sunlight. Depending on how quickly you notice improvement with the new plant or if the plant starts to look dull, you might need to change the location of your plant.
Wandering Jew Cuttings
These houseplants grow quite quickly; pruning is essential for proper growth. Your plant will grow new growth if you prune it. It is ideal for pruning long stems from old, healthy plants and rooting them next to the mother plant in the same container. The most efficient technique to multiply a Wandering Jew plant is stem cutting.
It is not as challenging as it might sound; take a cutting from the existing plant and allow it to establish roots so it can develop into a new plant. By taking slips, sometimes referred to as cuttings, from a mature, healthy plant, wandering Jews can be easily rooted. Under a node, which is a tiny, budlike projection where a leaf or bud is starting to develop, cut the stem using clean, precise scissors.
New roots begin to form here when the plant is being propagated. Cut the stem slightly below the most recent leaf if there is not a node visible. The best-rooted cutting is between 4 and 6 inches long.
Wandering Jew Plant Care
These data records were left in the piece by mistake:
[1]
A plane-wave DFT calculation with PBE was carried out for a relaxed Hg8Br3O4 crystal.

abc: 6.470 7.326 43.606
angles: 84.57 90.00 90.00
Fractional coordinates of all 60 atoms:
O (0.831, 0.582, 0.686)
O (0.083, 0.863, 0.246)
O (0.583, 0.137, 0.254)
O (0.011, 0.655, 0.916)
O (0.169, 0.418, 0.314)
O (0.669, 0.582, 0.186)
O (0.989, 0.345, 0.084)
O (0.917, 0.137, 0.754)
O (0.578, 0.744, 0.195)
O (0.417, 0.863, 0.746)
O (0.511, 0.345, 0.584)
O (0.922, 0.744, 0.695)
O (0.078, 0.256, 0.305)
O (0.331, 0.418, 0.814)
O (0.422, 0.256, 0.805)
O (0.489, 0.655, 0.416)
Hg (0.202, 0.802, 0.194)
Hg (0.230, 0.300, 0.123)
Hg (0.412, 0.741, 0.116)
Hg (0.769, 0.891, 0.734)
Hg (0.925, 0.993, 0.151)
Hg (0.298, 0.802, 0.694)
Hg (0.770, 0.700, 0.877)
Hg (0.575, 0.993, 0.651)
Hg (0.125, 0.638, 0.279)
Hg (0.075, 0.007, 0.849)
Hg (0.810, 0.042, 0.491)
Hg (0.730, 0.700, 0.377)
Hg (0.310, 0.958, 0.009)
Hg (0.375, 0.638, 0.779)
Hg (0.269, 0.109, 0.766)
Hg (0.702, 0.198, 0.306)
Hg (0.690, 0.042, 0.991)
Hg (0.912, 0.259, 0.384)
Hg (0.731, 0.891, 0.234)
Hg (0.088, 0.741, 0.616)
Hg (0.514, 0.886, 0.832)
Hg (0.875, 0.362, 0.721)
Hg (0.588, 0.259, 0.884)
Hg (0.270, 0.300, 0.623)
Hg (0.986, 0.886, 0.332)
Hg (0.625, 0.362, 0.221)
Hg (0.798, 0.198, 0.806)
Hg (0.486, 0.114, 0.168)
Hg (0.425, 0.007, 0.349)
Hg (0.014, 0.114, 0.668)
Hg (0.190, 0.958, 0.509)
Hg (0.231, 0.109, 0.266)
Br (0.768, 0.198, 0.090)
Br (0.494, 0.180, 0.463)
Br (0.268, 0.802, 0.410)
Br (0.232, 0.802, 0.910)
Br (0.006, 0.180, 0.963)
Br (0.732, 0.198, 0.590)
Br (0.994, 0.820, 0.037)
Br (0.127, 0.410, 0.220)
Br (0.373, 0.410, 0.720)
Br (0.506, 0.820, 0.537)
Br (0.627, 0.590, 0.280)
Br (0.873, 0.590, 0.780)

Output
Energy above the lowest structure with this stoichiometry   400 meV per atom
ΔE_f   -0.12 eV/atom
Total moment   0.0 μB/cell



[2]
A plane-wave DFT calculation with PBE was carried out for a relaxed Hg8Br3O4 crystal.

abc: 6.524 6.936 39.493
angles: 89.36 90.00 90.00
Fractional coordinates of all 60 atoms:
Br (0.513, 0.806, 0.535)
Br (0.258, 0.641, 0.889)
Br (0.242, 0.641, 0.389)
Br (0.758, 0.359, 0.611)
Br (0.742, 0.359, 0.111)
Br (0.404, 0.384, 0.689)
Br (0.596, 0.616, 0.311)
Br (0.904, 0.616, 0.811)
Br (0.987, 0.806, 0.035)
Br (0.096, 0.384, 0.189)
Br (0.487, 0.194, 0.465)
Br (0.013, 0.194, 0.965)
O (0.441, 0.863, 0.758)
O (0.595, 0.578, 0.223)
O (0.846, 0.829, 0.643)
O (0.905, 0.578, 0.723)
O (0.785, 0.946, 0.883)
O (0.405, 0.422, 0.777)
O (0.285, 0.054, 0.617)
O (0.154, 0.171, 0.357)
O (0.715, 0.946, 0.383)
O (0.215, 0.054, 0.117)
O (0.059, 0.863, 0.258)
O (0.941, 0.137, 0.742)
O (0.346, 0.171, 0.857)
O (0.095, 0.422, 0.277)
O (0.559, 0.137, 0.242)
O (0.654, 0.829, 0.143)
Hg (0.233, 0.654, 0.736)
Hg (0.755, 0.633, 0.892)
Hg (0.576, 0.952, 0.629)
Hg (0.808, 0.039, 0.492)
Hg (0.745, 0.633, 0.392)
Hg (0.642, 0.260, 0.889)
Hg (0.388, 0.967, 0.183)
Hg (0.190, 0.477, 0.329)
Hg (0.733, 0.860, 0.242)
Hg (0.255, 0.367, 0.608)
Hg (0.192, 0.961, 0.508)
Hg (0.733, 0.346, 0.764)
Hg (0.810, 0.523, 0.671)
You could let the soil dry up between waterings for wandering Jew plants because they can thrive even with little neglect. Watering should be reduced in the winter when growth is slower. If necessary, fertilize your wandering Jew every two weeks during every summer and spring by applying a water-soluble fertilizer diluted to half-strength.
Your spiderwort plant might lose some of its foliage towards the base of the stems in the first year of growth. When a plant looks lanky, instead of pruning it back to make it look fuller, take cuttings from healthy stems and grow them in the same pot as the mother plant. Remove leaves that are fading or dried out.
Despite their considerable adaptability, spiderwort plants prefer medium to strong indirect light to grow. Move it to a brighter location if you notice the leaf marks disappearing, but ensure it is out of strong sunlight.
Brighter environments increase the likelihood of flowering in plants. Put your wandering Jew in potting soil that is all-purpose and well-drained. It will thrive in a warm, moderate environment with temperatures ranging from 55 to 70 degrees.
Final Thoughts
Due to their extreme hardiness and ability to adapt to various humidity levels and environmental factors, wandering Jews are simple to reproduce. They only need a little tender loving care. Aphids are to be avoided; they are drawn to plants with strong stems and, if unmanaged, can grow into a massive infestation.

Victoria is the owner and main author of hobby plants. She loves spending her free time in her garden planting and taking care of her plants. Victoria hopes you enjoy the content here!